### Source
'''
i) The following is a DFT calculation (ωB97M-V with the def2-TZVPD basis set) of a cluster of 7 separate species, C7H28O7 in total.

Values from the calculation:
Frontier orbital gap   0.3795 Ha
Structure (SMILES)   CO.CO.CO.CO.CO.CO.CO
Spin multiplicity   1
HOMO energy   -0.3589 Ha
Charge   0

Element x y z (Å)
C (2.8796, -4.1272, -0.5247)
O (3.6955, -3.2007, -1.1809)
H (2.7734, -3.9067, 0.5312)
H (1.8961, -4.1514, -0.9603)
H (3.2254, -5.1694, -0.5056)
H (4.5868, -3.2784, -0.8448)
C (2.9185, 2.0515, -0.4588)
O (3.8692, 2.7457, -1.2093)
H (3.3519, 1.5719, 0.4383)
H (2.1171, 2.6912, -0.0697)
H (2.5016, 1.2858, -1.1011)
H (4.3877, 3.4092, -0.7607)
C (-3.5776, -0.0604, -2.1583)
O (-4.9570, -0.1599, -1.9654)
H (-3.2542, 0.3992, -3.1069)
H (-3.2624, 0.5963, -1.3561)
H (-3.0576, -1.0191, -2.0563)
H (-5.3984, -0.5972, -2.7006)
C (-2.5902, 1.4076, 1.8778)
O (-2.6064, 2.7806, 2.2337)
H (-2.9132, 0.7524, 2.6849)
H (-3.2320, 1.2446, 1.0120)
H (-1.5925, 1.0899, 1.6273)
H (-3.3737, 3.0486, 2.7306)
C (-0.9393, 3.4080, -0.6126)
O (-0.7785, 2.0365, -1.1359)
H (-0.1228, 4.0670, -0.9199)
H (-1.9068, 3.7632, -0.9453)
H (-0.9086, 3.2973, 0.4660)
H (-0.7165, 1.9885, -2.0875)
C (-0.0708, -1.3976, -0.7932)
O (-0.0681, -0.3725, 0.2015)
H (-0.9188, -1.2923, -1.4508)
H (0.8649, -1.4521, -1.3358)
H (-0.1679, -2.3730, -0.3179)
H (-0.2136, 0.4880, -0.2336)
C (1.5358, -2.0242, 2.9938)
O (0.2039, -1.8872, 2.6299)
H (1.5026, -2.5741, 3.9354)
H (2.1725, -2.6234, 2.3343)
H (2.0094, -1.0820, 3.2875)
H (0.1349, -1.3740, 1.8078)

ii) The following is a DFT calculation (ωB97M-V with the def2-TZVPD basis set) of a structure of composition C7H28O7.

Values from the calculation:
Frontier orbital gap   0.3432 Ha
Spin multiplicity   1
HOMO energy   -0.3374 Ha
Charge   0

Element x y z (Å)
C (-0.9718, 0.9356, 3.7079)
O (-0.7553, 1.4396, 5.0065)
H (-0.0519, 0.5251, 3.2917)
H (-1.6122, 0.0544, 3.7481)
H (-1.5045, 1.5719, 3.0012)
H (-1.5149, 1.2771, 5.5706)
C (0.5431, 0.2902, 0.4766)
O (-0.2419, 1.3257, -0.1886)
H (1.5956, 0.5732, 0.4599)
H (0.2031, 0.1996, 1.5082)
H (0.4630, -0.6842, -0.0052)
H (-1.1239, 0.9648, -0.3042)
C (-0.3555, -1.2978, -2.1040)
O (0.5019, -2.4037, -2.1406)
H (0.2261, -0.4048, -2.3328)
H (-1.0864, -1.3587, -2.9103)
H (-0.8483, -1.0540, -1.1628)
H (0.0617, -3.1880, -1.8049)
C (2.6563, -1.1668, 1.8188)
O (2.0075, -0.2978, 2.7594)
H (2.2113, -0.9303, 0.8523)
H (3.7300, -0.9790, 1.8261)
H (2.5055, -2.2001, 2.1314)
H (2.0334, 0.6339, 2.5294)
C (2.4757, -1.1775, -1.1670)
O (3.8288, -1.4682, -1.0916)
H (2.1464, -1.0265, -2.1951)
H (2.0014, -2.0001, -0.6318)
H (2.3616, -0.1645, -0.7812)
H (3.9634, -2.0581, -0.3463)
C (-3.3414, 0.2889, -0.9308)
O (-2.1352, 0.8476, -0.3640)
H (-3.0994, -0.6125, -1.4940)
H (-4.0588, 0.0583, -0.1433)
H (-3.7237, 1.0719, -1.5856)
H (-2.3243, 1.6457, 0.1349)
C (-1.4282, 1.9011, -2.7166)
O (-0.0093, 1.6293, -2.4314)
H (-1.5565, 2.2720, -3.7335)
H (-2.0155, 0.9832, -2.6907)
H (-1.7942, 2.6729, -2.0395)
H (0.0369, 1.3104, -1.5271)

Short version: ii) is the least stable of them.

i) The following is a DFT calculation (ωB97M-V with the def2-TZVPD basis set) of the molecule C3H7NS2.

Values from the calculation:
Frontier orbital gap   0.3273 Ha
Structure (SMILES)   CSCC(N)=S
Spin multiplicity   1
HOMO energy   -0.3115 Ha
Charge   0

Element x y z (Å)
C (-0.9901, -1.4686, 0.3328)
S (-1.7599, 0.2666, 0.2399)
C (-0.4113, 0.7738, -0.9138)
C (0.9804, 0.7679, -0.3228)
N (1.0220, 1.1395, 0.9388)
S (2.3768, 0.5536, -1.1263)
H (-0.7006, -1.9325, -0.7176)
H (-1.8806, -2.1624, 0.7359)
H (-0.0867, -1.5214, 0.8936)
H (-0.3022, -0.0051, -1.6821)
H (-0.5496, 1.7175, -1.4601)
H (2.0189, 0.9868, 1.4204)
H (0.2829, 0.8841, 1.6614)

ii) The following is a DFT calculation (ωB97M-V with the def2-TZVPD basis set) of the molecule C3H7NS2.

Values from the calculation:
Frontier orbital gap   0.3332 Ha
Structure (SMILES)   CS/C(C)=N\S
Spin multiplicity   1
HOMO energy   -0.3189 Ha
Charge   0

Element x y z (Å)
C (-1.4815, -1.3385, 0.8504)
'''

### What to do
Transcribe everything above without altering anything.

### Result
i) The following is a DFT calculation (ωB97M-V with the def2-TZVPD basis set) of a cluster of 7 separate species, C7H28O7 in total.

Values from the calculation:
Frontier orbital gap   0.3795 Ha
Structure (SMILES)   CO.CO.CO.CO.CO.CO.CO
Spin multiplicity   1
HOMO energy   -0.3589 Ha
Charge   0

Element x y z (Å)
C (2.8796, -4.1272, -0.5247)
O (3.6955, -3.2007, -1.1809)
H (2.7734, -3.9067, 0.5312)
H (1.8961, -4.1514, -0.9603)
H (3.2254, -5.1694, -0.5056)
H (4.5868, -3.2784, -0.8448)
C (2.9185, 2.0515, -0.4588)
O (3.8692, 2.7457, -1.2093)
H (3.3519, 1.5719, 0.4383)
H (2.1171, 2.6912, -0.0697)
H (2.5016, 1.2858, -1.1011)
H (4.3877, 3.4092, -0.7607)
C (-3.5776, -0.0604, -2.1583)
O (-4.9570, -0.1599, -1.9654)
H (-3.2542, 0.3992, -3.1069)
H (-3.2624, 0.5963, -1.3561)
H (-3.0576, -1.0191, -2.0563)
H (-5.3984, -0.5972, -2.7006)
C (-2.5902, 1.4076, 1.8778)
O (-2.6064, 2.7806, 2.2337)
H (-2.9132, 0.7524, 2.6849)
H (-3.2320, 1.2446, 1.0120)
H (-1.5925, 1.0899, 1.6273)
H (-3.3737, 3.0486, 2.7306)
C (-0.9393, 3.4080, -0.6126)
O (-0.7785, 2.0365, -1.1359)
H (-0.1228, 4.0670, -0.9199)
H (-1.9068, 3.7632, -0.9453)
H (-0.9086, 3.2973, 0.4660)
H (-0.7165, 1.9885, -2.0875)
C (-0.0708, -1.3976, -0.7932)
O (-0.0681, -0.3725, 0.2015)
H (-0.9188, -1.2923, -1.4508)
H (0.8649, -1.4521, -1.3358)
H (-0.1679, -2.3730, -0.3179)
H (-0.2136, 0.4880, -0.2336)
C (1.5358, -2.0242, 2.9938)
O (0.2039, -1.8872, 2.6299)
H (1.5026, -2.5741, 3.9354)
H (2.1725, -2.6234, 2.3343)
H (2.0094, -1.0820, 3.2875)
H (0.1349, -1.3740, 1.8078)

ii) The following is a DFT calculation (ωB97M-V with the def2-TZVPD basis set) of a structure of composition C7H28O7.

Values from the calculation:
Frontier orbital gap   0.3432 Ha
Spin multiplicity   1
HOMO energy   -0.3374 Ha
Charge   0

Element x y z (Å)
C (-0.9718, 0.9356, 3.7079)
O (-0.7553, 1.4396, 5.0065)
H (-0.0519, 0.5251, 3.2917)
H (-1.6122, 0.0544, 3.7481)
H (-1.5045, 1.5719, 3.0012)
H (-1.5149, 1.2771, 5.5706)
C (0.5431, 0.2902, 0.4766)
O (-0.2419, 1.3257, -0.1886)
H (1.5956, 0.5732, 0.4599)
H (0.2031, 0.1996, 1.5082)
H (0.4630, -0.6842, -0.0052)
H (-1.1239, 0.9648, -0.3042)
C (-0.3555, -1.2978, -2.1040)
O (0.5019, -2.4037, -2.1406)
H (0.2261, -0.4048, -2.3328)
H (-1.0864, -1.3587, -2.9103)
H (-0.8483, -1.0540, -1.1628)
H (0.0617, -3.1880, -1.8049)
C (2.6563, -1.1668, 1.8188)
O (2.0075, -0.2978, 2.7594)
H (2.2113, -0.9303, 0.8523)
H (3.7300, -0.9790, 1.8261)
H (2.5055, -2.2001, 2.1314)
H (2.0334, 0.6339, 2.5294)
C (2.4757, -1.1775, -1.1670)
O (3.8288, -1.4682, -1.0916)
H (2.1464, -1.0265, -2.1951)
H (2.0014, -2.0001, -0.6318)
H (2.3616, -0.1645, -0.7812)
H (3.9634, -2.0581, -0.3463)
C (-3.3414, 0.2889, -0.9308)
O (-2.1352, 0.8476, -0.3640)
H (-3.0994, -0.6125, -1.4940)
H (-4.0588, 0.0583, -0.1433)
H (-3.7237, 1.0719, -1.5856)
H (-2.3243, 1.6457, 0.1349)
C (-1.4282, 1.9011, -2.7166)
O (-0.0093, 1.6293, -2.4314)
H (-1.5565, 2.2720, -3.7335)
H (-2.0155, 0.9832, -2.6907)
H (-1.7942, 2.6729, -2.0395)
H (0.0369, 1.3104, -1.5271)

Short version: ii) is the least stable of them.

i) The following is a DFT calculation (ωB97M-V with the def2-TZVPD basis set) of the molecule C3H7NS2.

Values from the calculation:
Frontier orbital gap   0.3273 Ha
Structure (SMILES)   CSCC(N)=S
Spin multiplicity   1
HOMO energy   -0.3115 Ha
Charge   0

Element x y z (Å)
C (-0.9901, -1.4686, 0.3328)
S (-1.7599, 0.2666, 0.2399)
C (-0.4113, 0.7738, -0.9138)
C (0.9804, 0.7679, -0.3228)
N (1.0220, 1.1395, 0.9388)
S (2.3768, 0.5536, -1.1263)
H (-0.7006, -1.9325, -0.7176)
H (-1.8806, -2.1624, 0.7359)
H (-0.0867, -1.5214, 0.8936)
H (-0.3022, -0.0051, -1.6821)
H (-0.5496, 1.7175, -1.4601)
H (2.0189, 0.9868, 1.4204)
H (0.2829, 0.8841, 1.6614)

ii) The following is a DFT calculation (ωB97M-V with the def2-TZVPD basis set) of the molecule C3H7NS2.

Values from the calculation:
Frontier orbital gap   0.3332 Ha
Structure (SMILES)   CS/C(C)=N\S
Spin multiplicity   1
HOMO energy   -0.3189 Ha
Charge   0

Element x y z (Å)
C (-1.4815, -1.3385, 0.8504)